File >
********
Entry from the Open Molecules 2025 dataset: C6H11NO as an isolated structure (ωB97M-V/def2-TZVPD).

```
19
Properties=species:S:1:pos:R:3:forces:R:3
C 0.754 1.900 0.707 -0.2 0.0 -0.1
C 0.578 0.670 -1.489 0.5 0.1 -1.2
C -0.044 -1.382 0.734 1.0 -0.3 -0.1
C 0.527 0.570 0.016 -2.0 -0.4 -0.1
N -2.077 -0.772 -0.575 0.0 0.1 -0.4
C 1.076 -0.622 0.668 -0.4 -0.9 0.5
C -1.090 -0.439 0.361 1.2 1.4 -0.1
O -0.274 -2.718 0.937 0.0 0.4 0.2
H 0.572 -3.178 0.978 0.0 0.1 0.0
H -1.834 -1.542 -1.182 -0.2 0.0 0.2
H -3.023 -0.822 -0.226 0.1 0.0 -0.1
H 2.033 -0.745 1.162 0.2 -0.1 -0.2
H -1.463 0.209 1.145 -0.1 -0.2 0.2
H 1.768 2.266 0.515 0.0 -0.1 0.0
H 0.062 2.655 0.331 0.0 0.0 0.0
H 1.561 0.454 -1.923 0.2 0.0 0.4
H 0.333 1.659 -1.887 -0.1 0.2 0.4
H -0.078 0.017 -2.060 -0.3 -0.4 0.4
H 0.619 1.821 1.786 0.0 0.0 0.0
```
Forces are in eV/Å.

The calculation puts the HOMO-LUMO gap at 8.89 eV. The energy above the lowest of the compared OMol25 structures with the same formula, charge and spin is 62.4 kcal/mol. For the HOMO energy, the calculation gives -0.297 hartree.

---

Entry from the Open Molecules 2025 dataset: a 10-piece molecular cluster, C31H54Cl18F4N2O6P2S overall (ωB97M-V/def2-TZVPD).

```
118
Properties=species:S:1:pos:R:3:forces:R:3
C 2.397 -1.626 7.258 -0.6 0.1 -1.3
C 1.312 -1.919 6.765 -0.1 0.8 -0.2
C -0.085 -2.039 6.024 1.8 0.3 0.5
C 0.096 -2.083 4.410 0.3 0.7 0.9
O -0.957 -2.933 3.912 0.0 2.2 -1.2
C -1.831 -2.290 2.990 -1.1 0.8 -0.5
O -2.660 -3.380 2.425 1.1 -2.3 2.8
C -2.532 -4.515 3.222 -0.2 1.2 -1.7
N -2.370 -5.520 3.778 -0.5 1.1 -0.6
C -1.102 -1.651 1.722 1.9 -2.1 -0.8
C -0.266 -2.838 1.015 -0.8 0.0 -0.7
F -1.999 -1.178 0.721 0.7 -0.1 1.8
C -2.879 -1.324 3.718 0.1 -1.5 0.5
S -4.425 -0.974 2.734 -0.4 0.0 -0.2
N -2.301 -0.055 4.235 -2.3 -1.6 -0.6
C -2.365 1.075 3.271 1.6 2.2 0.0
C -1.211 2.130 3.737 0.8 0.9 -0.1
C -0.297 2.573 2.515 0.9 0.2 0.9
F -0.745 3.494 1.534 0.5 -2.8 1.5
C 1.001 2.034 2.458 -1.4 0.8 -0.2
F 1.470 1.217 1.433 0.4 2.4 1.6
F 1.901 2.353 3.480 -1.5 -2.3 -1.8
P -3.074 0.506 5.721 0.8 1.9 2.0
O -3.072 -0.741 6.899 -1.5 0.8 -2.1
O -4.725 0.843 5.510 1.1 -1.2 -0.5
P 1.872 -2.720 4.100 1.9 -2.1 2.1
O 1.911 -3.980 2.950 0.2 2.7 -0.8
O 2.771 -1.352 3.605 -2.8 -0.5 -0.8
H 3.466 -1.312 7.405 -1.9 -0.7 0.1
H -0.626 -1.072 6.236 0.3 -1.3 0.0
H -0.642 -2.949 6.409 0.6 1.2 -0.7
H 0.062 -1.001 4.081 -0.5 -1.1 0.1
H -0.316 -0.874 1.997 -1.6 -0.4 -0.3
H -0.817 -3.106 0.050 0.7 0.5 1.3
H -0.243 -3.784 1.627 0.3 1.2 -0.5
H 0.758 -2.485 0.676 -1.2 -0.6 0.7
H -3.235 -1.905 4.638 0.7 0.6 -1.3
H -4.554 -1.865 1.691 0.8 0.4 0.9
H -2.124 0.814 2.202 -0.5 -0.3 1.2
H -3.328 1.663 3.268 1.1 -1.1 0.0
H -1.627 2.995 4.331 0.3 -0.9 -0.8
H -0.523 1.554 4.441 -0.7 0.8 -1.0
H -4.011 -0.964 7.113 0.8 0.0 -0.2
H -4.949 1.112 4.596 0.1 -0.3 0.5
H 2.347 -3.583 2.155 -0.6 -0.8 0.3
H 2.089 -0.697 3.318 1.0 -0.2 0.0
Cl -4.443 3.219 1.981 -0.1 0.2 0.0
C -4.577 3.807 0.310 0.1 0.0 -0.5
C -4.063 2.793 -0.688 -0.2 0.0 -0.1
Cl -2.302 2.570 -0.566 -0.1 -0.2 -0.2
H -4.037 4.751 0.245 0.0 -0.1 0.1
H -5.630 4.006 0.121 0.1 -0.1 0.0
H -4.276 3.137 -1.701 0.0 0.1 0.1
H -4.532 1.817 -0.554 0.1 0.1 0.1
Cl -4.698 -3.494 0.060 -0.3 -0.2 -0.3
C -3.602 -4.068 -1.222 0.3 0.0 -0.1
C -3.119 -2.939 -2.107 0.2 -0.1 0.1
Cl -4.428 -2.263 -3.112 0.0 0.1 0.0
H -4.126 -4.833 -1.796 0.0 0.1 0.1
H -2.752 -4.537 -0.725 0.0 0.1 0.0
H -2.353 -3.307 -2.792 -0.1 -0.1 0.1
H -2.689 -2.126 -1.522 -0.1 -0.1 0.0
Cl 5.954 4.530 4.052 0.0 0.0 0.0
C 5.972 2.881 3.378 0.0 -0.2 -0.1
C 5.127 1.923 4.189 -0.1 0.0 -0.2
Cl 5.832 1.597 5.793 0.0 0.0 0.0
H 7.009 2.551 3.319 -0.1 0.0 0.1
H 5.579 2.951 2.362 0.0 0.0 0.1
H 5.058 0.963 3.673 0.1 0.1 0.0
H 4.117 2.303 4.335 0.2 0.0 0.1
Cl 2.560 -2.405 -2.913 -0.1 -0.1 0.1
C 2.689 -0.673 -2.502 0.0 0.0 0.0
C 2.096 -0.364 -1.147 0.2 0.1 -0.1
Cl 0.323 -0.544 -1.131 0.0 0.2 -0.2
H 2.204 -0.100 -3.293 0.0 -0.1 0.1
H 3.747 -0.427 -2.506 -0.2 -0.2 0.1
H 2.310 0.671 -0.876 0.0 -0.1 -0.1
H 2.509 -1.011 -0.371 -0.1 0.0 -0.1
Cl 4.194 1.148 -6.040 -0.1 0.0 0.0
********
To do >
The reader should reproduce the lines further up up to the one that holds "-2.3 -1.8", that line included.
Written answer >
Entry from the Open Molecules 2025 dataset: C6H11NO as an isolated structure (ωB97M-V/def2-TZVPD).

```
19
Properties=species:S:1:pos:R:3:forces:R:3
C 0.754 1.900 0.707 -0.2 0.0 -0.1
C 0.578 0.670 -1.489 0.5 0.1 -1.2
C -0.044 -1.382 0.734 1.0 -0.3 -0.1
C 0.527 0.570 0.016 -2.0 -0.4 -0.1
N -2.077 -0.772 -0.575 0.0 0.1 -0.4
C 1.076 -0.622 0.668 -0.4 -0.9 0.5
C -1.090 -0.439 0.361 1.2 1.4 -0.1
O -0.274 -2.718 0.937 0.0 0.4 0.2
H 0.572 -3.178 0.978 0.0 0.1 0.0
H -1.834 -1.542 -1.182 -0.2 0.0 0.2
H -3.023 -0.822 -0.226 0.1 0.0 -0.1
H 2.033 -0.745 1.162 0.2 -0.1 -0.2
H -1.463 0.209 1.145 -0.1 -0.2 0.2
H 1.768 2.266 0.515 0.0 -0.1 0.0
H 0.062 2.655 0.331 0.0 0.0 0.0
H 1.561 0.454 -1.923 0.2 0.0 0.4
H 0.333 1.659 -1.887 -0.1 0.2 0.4
H -0.078 0.017 -2.060 -0.3 -0.4 0.4
H 0.619 1.821 1.786 0.0 0.0 0.0
```
Forces are in eV/Å.

The calculation puts the HOMO-LUMO gap at 8.89 eV. The energy above the lowest of the compared OMol25 structures with the same formula, charge and spin is 62.4 kcal/mol. For the HOMO energy, the calculation gives -0.297 hartree.

---

Entry from the Open Molecules 2025 dataset: a 10-piece molecular cluster, C31H54Cl18F4N2O6P2S overall (ωB97M-V/def2-TZVPD).

```
118
Properties=species:S:1:pos:R:3:forces:R:3
C 2.397 -1.626 7.258 -0.6 0.1 -1.3
C 1.312 -1.919 6.765 -0.1 0.8 -0.2
C -0.085 -2.039 6.024 1.8 0.3 0.5
C 0.096 -2.083 4.410 0.3 0.7 0.9
O -0.957 -2.933 3.912 0.0 2.2 -1.2
C -1.831 -2.290 2.990 -1.1 0.8 -0.5
O -2.660 -3.380 2.425 1.1 -2.3 2.8
C -2.532 -4.515 3.222 -0.2 1.2 -1.7
N -2.370 -5.520 3.778 -0.5 1.1 -0.6
C -1.102 -1.651 1.722 1.9 -2.1 -0.8
C -0.266 -2.838 1.015 -0.8 0.0 -0.7
F -1.999 -1.178 0.721 0.7 -0.1 1.8
C -2.879 -1.324 3.718 0.1 -1.5 0.5
S -4.425 -0.974 2.734 -0.4 0.0 -0.2
N -2.301 -0.055 4.235 -2.3 -1.6 -0.6
C -2.365 1.075 3.271 1.6 2.2 0.0
C -1.211 2.130 3.737 0.8 0.9 -0.1
C -0.297 2.573 2.515 0.9 0.2 0.9
F -0.745 3.494 1.534 0.5 -2.8 1.5
C 1.001 2.034 2.458 -1.4 0.8 -0.2
F 1.470 1.217 1.433 0.4 2.4 1.6
F 1.901 2.353 3.480 -1.5 -2.3 -1.8